‘CORNELIA STREET’ CRASHES: Well, we saw “Cornelia Street,” the new musical by Simon Stephens and Mark Eitzel, at the Atlantic Theater’s Stage 2 in Chelsea last month, and we can safely say it’s not that much of a “rip-off” of Robin Hirsch and his former Cornelia Street Café.
On the other hand, we didn’t really enjoy the show. Neither did the critics. In fact, we haven’t seen scathing reviews like this since the ones mocking Spinal Tap’s albums in “Spinal Tap.” In the observer.com, David Cote sniffed, “A talented cast is trapped by cringe material,” calling the show “aimless tedium” and “dreadful” and complaining there’s too much talking about “friggin’ balls.” Not surprisingly, after a short run, “Cornelia Street” closed March 5.
Only when cocaine dealing was thrown into the mix was there any momentum — at least some suspense and danger had been added. Some theater critics up from Philly sitting behind us just grumbled when asked their thoughts on the show.
Data records, kept here for reference >
- - -
[1]
## LaPuNi4 (PBE-GGA)

Data for LaPuNi4 after structural relaxation.

```
data_LaPuNi4
_chemical_formula_sum 'La1 Pu1 Ni4'
_cell_length_a 5.131
_cell_length_b 5.131
_cell_length_c 5.131
_cell_angle_alpha 60.00
_cell_angle_beta 60.00
_cell_angle_gamma 60.00
_space_group_name_H-M_alt 'P 1'
_space_group_IT_number 1
loop_
_space_group_symop_operation_xyz
'x,y,z'
loop_
_atom_site_label
_atom_site_fract_x
_atom_site_fract_y
_atom_site_fract_z
_atom_site_occupancy
Ni1 0.129 0.624 0.624 1
Pu1 0.250 0.250 0.250 1
Ni2 0.624 0.129 0.624 1
Ni3 0.624 0.624 0.129 1
La1 0.000 0.000 0.000 1
Ni4 0.624 0.624 0.624 1
```

Summary:
Total magnetic moment ... 0.89 μB per atom
Formation energy from the elements ... -267 meV/atom

=====

[2]
## La2PuNiS5 (PBE-GGA)

Data for La2PuNiS5 after structural relaxation.

```
data_La2PuNiS5
_chemical_formula_sum 'La4 Pu2 Ni2 S10'
_cell_length_a 3.934
_cell_length_b 8.528
_cell_length_c 12.085
_cell_angle_alpha 90.00
_cell_angle_beta 90.00
_cell_angle_gamma 103.34
_space_group_name_H-M_alt 'P 1'
_space_group_IT_number 1
loop_
_space_group_symop_operation_xyz
'x,y,z'
loop_
_atom_site_label
_atom_site_fract_x
_atom_site_fract_y
_atom_site_fract_z
_atom_site_occupancy
Ni1 0.553 0.106 0.920 1
S1 0.345 0.690 0.021 1
S2 0.303 0.606 0.687 1
La1 0.117 0.234 0.346 1
La2 0.883 0.766 0.846 1
S3 0.021 0.042 0.004 1
La3 0.882 0.764 0.198 1
Pu1 0.180 0.360 0.027 1
S4 0.315 0.629 0.368 1
La4 0.118 0.236 0.698 1
S5 0.979 0.958 0.504 1
S6 0.697 0.394 0.187 1
Ni2 0.447 0.894 0.420 1
S7 0.655 0.310 0.521 1
Pu2 0.820 0.640 0.527 1
S8 0.685 0.371 0.868 1
S9 0.505 0.009 0.252 1
S10 0.495 0.991 0.752 1
```

Summary:
Total magnetic moment ... 0.45 μB per atom
Uncorrected formation energy ... -1.717 eV/atom

=====

[3]
## LaPuNi2Sb2 (PBE-GGA)

Data for LaPuNi2Sb2 after structural relaxation.

```
data_LaPuNi2Sb2
_chemical_formula_sum 'La1 Pu1 Ni2 Sb2'
_cell_length_a 4.395
_cell_length_b 4.395
_cell_length_c 8.182
_cell_angle_alpha 90.00
_cell_angle_beta 90.00
_cell_angle_gamma 120.00
_space_group_name_H-M_alt 'P 1'
_space_group_IT_number 1
loop_
_space_group_symop_operation_xyz
'x,y,z'
loop_
_atom_site_label
_atom_site_fract_x
_atom_site_fract_y
_atom_site_fract_z
_atom_site_occupancy
Sb1 0.333 0.667 0.256 1
Sb2 0.667 0.333 0.744 1
Ni1 0.667 0.333 0.280 1
Ni2 0.333 0.667 0.720 1
Pu1 0.000 0.000 0.500 1
La1 0.000 0.000 0.000 1
```

Summary:
Total magnetic moment ... 0.85 μB per atom
Uncorrected formation energy ... -0.685 eV/atom

=====

[4]
## LaPu2Ni2Sb2 (PBE-GGA)

Data for LaPu2Ni2Sb2 after structural relaxation.

```
data_LaPu2Ni2Sb2
_chemical_formula_sum 'La1 Pu2 Ni2 Sb2'
_cell_length_a 4.181
_cell_length_b 4.181
_cell_length_c 9.873
_cell_angle_alpha 77.78
_cell_angle_beta 77.78
_cell_angle_gamma 60.00
_space_group_name_H-M_alt 'P 1'
_space_group_IT_number 1
loop_
_space_group_symop_operation_xyz
'x,y,z'
loop_
_atom_site_label
_atom_site_fract_x
_atom_site_fract_y
_atom_site_fract_z
_atom_site_occupancy
Sb1 0.259 0.259 0.222 1
- - -
To his credit as a Brit, Stephens at least picked the relevant theme of a small business struggling to stay afloat amid New York City’s hypergentrification (though wasn’t that the real cafe’s story, too?). And he tossed in some references to lesser-known local landmarks — like the former tow pound at Pier 76 — kind of neat. But, over all…nah.
The set, at least, did resemble the real Cornelia Street Café. There was the front door, with its three horizontal brass bars (though the gold-leaf lettering said Marty’s Cafe) and the awning with its red-and-white stripes. However, the lead character, Jacob (Norbert Leo Butz) was a rough-and-tumble chef from New Jersey, not at all like Hirsch, the cultured and witty, Oxford-educated artistic impresario and non-chef (though onetime dish dryer in another life) of the former Greenwich Village venue. And, unlike the real cafe, Marty’s didn’t feature a basement cabaret space with an array of entertainers. Like the real cafe, though, Marty’s was facing eviction due to rising rent. The landlord counseled Jacob: “The Village is gone. Maybe [try] Red Hook,” and that he should ditch food and “just do drinks.”
One character that rang true was Patti (Lena Pepe), a former flame of Jacob’s, who, older now and sporting a lush mane of white hair, formerly discoed fabulously at Studio 54. “This was the one place I feel needed,” she said.
Hirsch and Stephens had a sit-down, for tea of course, at Tea & Sympathy, on Greenwich Avenue, before the show opened. Hirsch had felt left out of the loop upon learning over the summer that a musical named after his erstwhile establishment was about to hit the stage. As The Village Sun previously reported, Stephens hung out at Cornelia Street Café, soaking up the place’s atmosphere, during its swan song.
The upshot was that Hirsch read his “Cafe Stories” at one of the theater’s off nights. “Simon made a really gracious introduction [before the reading],” he said. “I think we really healed whatever rift had grown between us.”
As for what got Stephens onto the cafe in the first place, Hirsch said the playwright had met Kristen Abate, who grew up on the block and worked at the hotel where Stephens was staying, and who ushered at Cornelia Street Café during its final days.
COMMUNITY BOARD (MUSICAL) CHAIRS: After two years leading Greenwich Village’s Community Board 2, Jeannine Kiely is stepping down (per the board’s voluntary term limit) to be succeeded by Susan Kent, the first vice chairperson. Kent ran for office unopposed. David Gruber, a former C.B. 2 chairperson, praised Kiely as “a ball of energy” and Kent as having “the right temperament to be chair[person]. She’s fair, level-headed.” Former Councilmember Alan Gerson, a leader of the Save Our Supermarket (S.O.S.) effort to keep the Morton Williams store at Bleecker Street and LaGuardia Place and another former C.B. 2 chairperson, also called Kiely a “very impressive” board chairperson.
Gruber said, though, that the all-volunteer body will suffer a big loss when Bob Ely, the longtime co-chairperson of its State Liquor Authority committee, as expected, steps down. “There will be a hole in the community when he leaves,” he said. “He has been doing this for 10 or 12 years and I think he wants to move on with his life.” We’ll never forget that epic committee meeting where the late Tom Connor accused Ely of badgering him over Connor’s support for an alcohol application — was it for Zero Bond? — but it actually turned out that Connor, due to his hearing loss and the echoey acoustics in the Our Lady of Pompeii Church basement, actually had just misheard a lot of what Ely said.
C.B. 2 also has finally hired a new district manager (head staff member), Mark Diller, who succeeds the man, the legend Bob Gormley. He’s a lawyer and formerly chaired the Upper West Side’s Community Board 7.
Meanwhile, over at the East Side’s Community Board 3, Michelle Kuppersmith has stepped down as the S.L.A. Committee chairperson, to anti-bar watchdogs’ rejoicing. There has also been a shakeup at the top of the board, too, with Paul Rangel not only bailing as chairperson but ditching the board altogether. The new chairperson is Tareake Dorill.

V.I.D. PRESIDENCY: There’s been a changing of the guard at the top of the storied Village Independent Democrats club. Jonathan Geballe is the club’s new president, succeeding the unique co-presidency of Mar Fitzgerald and Cameron Krause, who led the club for the past two years. Geballe, an even-keeled attorney, is a former district leader and club president. Maybe not everyone knows, but he originally came to New York City to be a guitar player.
‘WHAT’S GOIN’ ON?’ As if you haven’t read enough about Arthur Schwartz and the ongoing WestView News/Village View clash, the Greenwich Village district leader celebrated the big 7-Oh at Turkuaz restaurant on W. 53rd St. on Feb. 12. His younger, accountant brother Ray was there, along with their mother, 100, who was scrolling away on her cell phone in her wheelchair, and his daughters and son, plus a cousin, whom Schwartz remembered going to the Fillmore East with to see bands when they were young, “for $3!” he recalled incredulously. His wife, Kelly Craig, an actor-turned-real estate broker, was by his side. The group also included friends, neighbors and people from WBAI radio (Schwartz hosts a show and is the station’s attorney), staffers from his law office and writers from his new breakaway newspaper, like Brian Pape. Ray Cline of the Village Reform Democratic Club and Save Our Supermarket, also made the scene. He noted that more than 8,200 locals have now signed the petition to keep the Morton Williams supermarket at or near its current location at Bleecker and LaGuardia Place.
Schwartz said, in a bit of exciting news for him, that the Village Independent Democrats, for once, have actually endorsed him for reelection as district leader. He noted he’s been forging a good relationship with his co-district leader, V.I.D.’er Jenn Hoppe. Meanwhile, negotiating the boundaries of his Part A with Part B, the latter which is represented by District Leader Jeannine Kiely, was a challenge, he said, noting, “Jeannine is a tough negotiator.”
Schwartz’s bro Ray told us the story of how their mom once did Marvin Gaye’s toenails. The two lived in the same building in Santa Monica, CA, and during an elevator ride Gaye mentioned he was having issues with his nails. She gave him a pedicure and also abraded his heel calluses, and went on to become a huge concertgoer at 60. At 100, she’s still a doctor of pediatric medicine (D.P.M.) in good standing.
Also at the party was Miranda Ordonez, who was the youngest City Council candidate, at age 20, in 2021. Schwartz said she’s an up-and-comer in the mold of Alexandria Ocasio-Cortez. Also in the house were W. 13th Street activist David Marcus and Lindsey Boylan, the former candidate for borough president and Congress who made the first sexual-misconduct accusation against Andrew Cuomo.
I saw “Cornelia Street” at the invitation of. a theatre friend who knew of my involvement with the cafe in the last four years of its existence as creator:producer of spoken word & music series at the underground cabaret. I considered writing a review before I saw it. But Robin warned me by sending the NYT review. So, I was surprised to see him there on the same night. He made a speedy getaway. Only later, remarked in an email that the only resemblance as you point out was the set!
Mark Diller is the new CB 2 district manager.
The text is interrupted by materials data
<<<
Record 1
Crystalline La2TlF2 at its relaxed geometry, computed with PBE.

Output
The size of the total moment is 0.00 μB per formula unit. The density of states at the Fermi level comes out at 7.72 states/eV/f.u. Its uncorrected formation energy is -1931 meV/atom. The energy above the most stable polymorph in this dataset comes out at 0 meV per atom. The calculation puts the total energy at -5.12 eV/atom.

Lattice parameters (Å, degrees): 4.9044 4.9044 10.3132 90.00 90.00 90.00
Atoms (fractional coordinates):
La  0.0000  0.5000  0.2500
La  0.0000  0.5000  0.7500
La  0.5000  0.0000  0.2500
La  0.5000  0.0000  0.7500
Tl  0.0000  0.0000  0.0000
Tl  0.5000  0.5000  0.5000
F  0.0000  0.0000  0.3235
F  0.0000  0.0000  0.6765
F  0.5000  0.5000  0.1765
F  0.5000  0.5000  0.8235

Record 2
Crystalline MgZnAs at its relaxed geometry, computed with PBE.

Output
The size of the total moment is 0.00 μB per formula unit. For the calculated formation energy, the calculation gives -0.175 eV/atom. The density of states at the Fermi level comes out at 1.29 states/eV/f.u. The calculation puts the total energy at -2.68 eV/atom.

Lattice parameters (Å, degrees): 6.8771 6.8771 6.8771 40.72 40.72 40.72
Atoms (fractional coordinates):
Mg  0.1096  0.1096  0.1096
Mg  0.8904  0.8904  0.8904
Zn  0.3880  0.3880  0.3880
Zn  0.6120  0.6120  0.6120
As  0.2520  0.2520  0.2520
As  0.7480  0.7480  0.7480

Record 3
Crystalline Ac2DyGe4Rh3 at its relaxed geometry, computed with PBE.

Output
The size of the total moment is 0.00 μB per formula unit. For the calculated formation energy, the calculation gives -0.784 eV/atom. The density of states at the Fermi level comes out at 6.21 states/eV/f.u. The calculation puts the total energy at -6.12 eV/atom.

Lattice parameters (Å, degrees): 4.3894 4.3894 11.2506 90.00 90.00 90.00
Atoms (fractional coordinates):
Ac  0.0000  0.5000  0.2294
Ac  0.5000  0.0000  0.7706
Dy  0.0000  0.0000  0.5000
Ge  0.0000  0.0000  0.0000
Ge  0.0000  0.5000  0.6628
Ge  0.5000  0.0000  0.3372
Ge  0.5000  0.5000  0.0000
Rh  0.0000  0.5000  0.8876
Rh  0.5000  0.0000  0.1124
Rh  0.5000  0.5000  0.5000


# 1
The following is a PBE calculation of a relaxed ZrHgSeN2 crystal, from Alexandria via LeMat-Bulk.

Summary:
volume = 90 Å³ per cell
DOS(E_F) = 3.60 states/eV per cell
energy = -21.52 eV/cell
excess energy over the best structure of this formula in the dataset = 1.159 eV per atom
uncorrected formation energy = 1.492 eV/atom

Unit cell a=4.168 b=4.168 c=5.170 alpha=90.00 beta=90.00 gamma=90.00
Fractional positions:
Zr  0.500  0.500  0.500
Hg  0.000  0.000  0.000
Se  0.000  0.000  0.500
N  0.000  0.500  0.000
N  0.500  0.000  0.000

=====

# 2
The following is a PBE calculation of a relaxed MgU2Tl3Te6 crystal, from Alexandria via LeMat-Bulk.

Summary:
volume = 415 Å³ per cell
DOS(E_F) = 15.63 states/eV per cell
energy = -56.87 eV/cell
uncorrected formation energy = -0.562 eV/atom

Unit cell a=7.622 b=7.622 c=8.634 alpha=98.49 beta=98.49 gamma=120.00
>>>
Back to the text
But is Diller still a member of CB 7?